Chapter 62:Breaking The Walls

Chapter 62:Breaking The Walls


{} Sacred Gear Talking


I woke up with one hell of a headache and found my girls(Including the ones in Naruto world) sleeping around me. Remembering the last night I can guess they didn't sleep much.

Getting down I see that Ophis is still here munching away as Karin cooks, seeing me get down she gives me a hug and goes back to cooking but I can see her hands shaking.

"So I guess my human body won't last long." I already guessed the problem. It's another cliche but to what end I can't really figure out but it's solvable in the end.

"Yes." Ophis answers before getting out of her chair and she started to pull me by the hand.

"Where are we going?"

"To fix you." Ow shit! Am I getting a legal loli out of this!? Sweet but let me leave a mental message to assure the girls.

Never sleep with another girl while the rest are worried about you!

I was going to fuse my two bloodlines with Rebellion like Dante fused his human and demon side alongside Demon Sword Sparda but I am okay with this.

Getting inside of the room that's used to be empty I see that it's been turned into a ritual altar of some kind.

"Lay down in the middle of the circle." Following the instructions I laid down.

"So how is this going to work..." Looking at Ophis again I see that she aged herself to a teenager who's wearing a cheerleader outfit.

"I guess this will do." She mutters to herself before sitting on my lap and tearing my shirt off.

"You see Ethan, my intelligence is mostly based on my appearance, now I can't lose the guy that gave me sweets can I?" I nod not having any words to speak, this older Ophis is left me speechless.

"You see there's a ritual that will turn you into a real dragon then you can handle those two powers in you and I get to keep my chef."


"It will also lock my gender. So make sure to take responsibility~" At this point both of us are naked and ready to start this"ritual"


"Well, this is nice." Ophis floats around while laying on her Device.

It's called Sloths Comfort, it's a giant pillow that changes size depending on Ophis's body size, Ophis can channel her power through the pillow and fire lazer beams from the corners of the pillow. The other side of the pillow acts as armor. ("Infinite" Manipulation)

"Yeah, thanks for the help." I am still getting used to Ophis being a teenager, she already created a social network account(Supernatural one)

"Well I can still change my age if you're into that kind of thing." She says seeing my awkwardness but I can see her eyes promising a threat.


Lilith wasn't happy to learn that she was left behind of everyone else including the Loli(She doesn't count Gabriel) but it's not like I can just pull her to the side and have my way with her....

"You, me behind that bush right fucking now! I am old as hell fuck romance I want you now!" ( ͡° ͜ʖ ͡°)

Her device took the form of an actual eye in her empty left eye socket, she can use it for illusions. (Emotion Manipulation)


Following the events Ophis decided to enter her living compartment and never leave unless she's needed.

Like Kaguya whom I forgot about until she decided to come to my room because she wanted something.

After seeing the living compartment Ophis even went and demolished Khaos Brigade on her own saying she amused them enough.

She basically ended the rest of the fucking story! The rest can handle Loki and Hades won't pull out shit like Alliance of Hell while Sirzechs is here and it's not like I can't come here to beat them up.

=====
DFT (PBE) results for crystalline Hf2TiNi3 at its relaxed geometry.

a b c (Å): 14.5218 13.7950 7.7167
angles (deg): 79.45 69.05 31.49
Fractional coordinates of all 48 atoms:
1 Hf 0.8104 0.3393 0.1885
2 Hf 0.5308 0.9692 0.5308
3 Hf 0.2808 0.7192 0.2808
4 Hf 0.1597 0.1597 0.8403
5 Hf 0.7192 0.2808 0.7192
6 Hf 0.4097 0.4097 0.0903
7 Hf 0.3393 0.8104 0.6618
8 Hf 0.5882 0.0615 0.9107
9 Hf 0.9692 0.5308 0.9692
10 Hf 0.0903 0.0903 0.4097
11 Hf 0.8403 0.8403 0.1597
12 Hf 0.0615 0.5882 0.4396
13 Hf 0.1885 0.6618 0.8104
14 Hf 0.4396 0.9107 0.0615
15 Hf 0.6618 0.1885 0.3393
16 Hf 0.9107 0.4396 0.5882
17 Ni 0.4624 0.7278 0.2759
18 Ni 0.9331 0.0702 0.3516
19 Ni 0.8984 0.6049 0.3169
20 Ni 0.5339 0.2759 0.7278
21 Ni 0.7161 0.9741 0.5222
22 Ni 0.9332 0.2259 0.7946
23 Ni 0.4554 0.2036 0.3168
24 Ni 0.3168 0.0241 0.4554
25 Ni 0.6049 0.8984 0.1798
26 Ni 0.2259 0.9332 0.0464
27 Ni 0.0241 0.3168 0.2036
28 Ni 0.0464 0.7946 0.2259
29 Ni 0.6451 0.3516 0.0702
30 Ni 0.2759 0.5339 0.4624
31 Ni 0.2036 0.4554 0.0241
32 Ni 0.3169 0.1798 0.8984
33 Ni 0.7876 0.5222 0.9741
34 Ni 0.9741 0.7161 0.7876
35 Ni 0.3516 0.6451 0.9331
36 Ni 0.7278 0.4624 0.5339
37 Ni 0.1798 0.3169 0.6049
38 Ni 0.5222 0.7876 0.7161
39 Ni 0.0702 0.9331 0.6451
40 Ni 0.7946 0.0464 0.9332
41 Ti 0.9171 0.9171 0.5829
42 Ti 0.7500 0.7500 0.7500
43 Ti 0.0000 0.0000 0.0000
44 Ti 0.6671 0.6671 0.3329
45 Ti 0.3329 0.3329 0.6671
46 Ti 0.2500 0.2500 0.2500
47 Ti 0.5829 0.5829 0.9171
48 Ti 0.5000 0.5000 0.5000

Properties
Size of the total moment: 0.0 μB/cell
ΔH_f (0 K): -39.6 kJ/mol of atoms
Calculated total energy: -380.9 eV per cell
Space-group type: Fddd, No. 70
Calculated volume: 15.21 A^3/atom
ρ: 10.57 g/cm3

DFT (PBE) results for crystalline Hf2P2O9 at its relaxed geometry.

a b c (Å): 5.4880 5.4880 11.8942
angles (deg): 90.00 90.00 105.24
Fractional coordinates of all 26 atoms:
1 O 0.6342 0.0140 0.0832
2 O 0.8658 0.4860 0.5832
3 O 0.0140 0.6342 0.9168
4 O 0.0651 0.9349 0.1247
5 O 0.3588 0.6412 0.2282
6 O 0.5651 0.4349 0.3753
7 O 0.0000 0.0000 0.5000
8 O 0.5000 0.5000 0.0000
9 O 0.4349 0.5651 0.6247
10 O 0.8588 0.1412 0.2718
11 O 0.6412 0.3588 0.7718
12 O 0.9860 0.3658 0.0832
13 O 0.9349 0.0651 0.8753
14 O 0.4860 0.8658 0.4168
15 O 0.3658 0.9860 0.9168
16 O 0.1412 0.8588 0.7282
17 O 0.1342 0.5140 0.4168
18 O 0.5140 0.1342 0.5832
19 Hf 0.7059 0.2941 0.9384
20 Hf 0.7941 0.2059 0.4384
21 Hf 0.2059 0.7941 0.5616
22 Hf 0.2941 0.7059 0.0616
23 P 0.8941 0.1059 0.1471
24 P 0.6059 0.3941 0.6471
25 P 0.1059 0.8941 0.8529
26 P 0.3941 0.6059 0.3529

Properties
ΔH_f (0 K): -327.1 kJ/mol of atoms
Calculated total energy: -226.3 eV per cell
Offset from the most stable computed form: 8 meV per atom
Space-group type: Cmce, No. 64
Calculated volume: 13.29 A^3/atom
ρ: 5.41 g/cm3

Among the records above, which one has the highest ρ?
Hf2TiNi3

* * * * *

PBE YMg2, optimized geometry; formation energy from the elements = -47 meV/atom; calculated volume = 26.16 A^3/atom
1.0
0.438 -6.644 -1.118
3.438 -5.807 0.211
-1.956 -3.100 6.369
=====

Also I was called by Michael, no doubt he wants to talk about Gabriel kissing me but before that I went back to Cocytus by myself.

Here I found Samael once more and injected him with the cure after draining half of his blood. God kinda went a bit overboard with his punishment and I kinda want the poison only for myself.

Following the injection Samael's deformities started fixing itself and he became a blond youth with emerald eyes who has reptilian eyes and white feathery dragon wings radiating a warm aura.

"Thank you for saving me my friend."I just nod at him and teleport him to Heaven (I got the coordinates after marking Gabriel with Rinnegan, I have a meeting with Michael after all)

Now let's see Prank Series #1 Hot Pink Paint(Permanent) check.

Posters of our Bone Daddy, glorious Ainz-sama check.

Confusion and Chaos caused by disappearance of Samael check.

Let's hope Hades would love my gifts.


"Now can you explain it to me, how are you still pure?" Michael asks while giving me a honey tea and a loaf of bread(Made in Heaven)

We're in his office in Heaven with Gabriel sitting on the side looking like a child that got caught stealing candy. I guess Michael finally gave her "The Talk Angel Edition."

Seeing no harm I explained how I separated my bloodlines and refined them separately making Michael gawk at me because apparently it was simply impossible to pull off.

"So as long as it's you angels don't have to worry about falling...."

"I am not impregnating every angel in heaven."


"Well, get some chess pieces from devils and reincarnate people."

"Well that's the plan but it doesn't hurt to have alternatives, so I guess I am supposed to give you my sister."

"It would seem so considering how she's looking at me."Yeah her eyes are glazed, too much protagonist aura? or is it my new dragon musk? maybe she's always been horny that's a good cliche never fails to put a smile on my face.

"I can keep seeing Ethan!?"

"Yes Gabriel."

"Yes!" She even did a cute fist pump.


"Explain to me what you're about to do?"Vally asks for confirmation we're in the ring so the rest of the girls are here as well.

"I am going to fuse all my bloodlines into one to achieve another power up. Which might be a hidden plot cliche that will create a random problem that will see me going to another world to fix the said problem. All of this just because the plot(author) demands me go get a sister so I can fuck her."[This is just for making fun it's not going to happen]

Girls are stunned and can't answer to my mad ramblings.

"Ophis what did you do to him!" Morgan glares at the epitome of teenage girl.

**Calculated crystals from another source follow**
┌──
MgCo2P2O8 PBE with a Hubbard U relaxed; calculated volume = 165 Å³/f.u.; DFT formation energy = -2.477 eV/atom
1.0
2.0173 -0.2519 4.6814
-5.7059 4.7748 2.0620
-4.8959 -6.6138 1.7531
O Co P Mg
16 4 4 2
direct
0.5496 0.8593 0.4213
0.4457 0.7586 0.1383
0.0490 0.3592 0.0788
0.9509 0.6407 0.9212
0.1918 0.3750 0.6939
0.8198 0.0611 0.1391
0.6921 0.8751 0.8061
0.9454 0.2587 0.3617
0.3201 0.5613 0.3610
0.3079 0.1249 0.1939
0.4504 0.1407 0.5787
0.0546 0.7413 0.6383
0.1801 0.9389 0.8609
0.5543 0.2414 0.8617
0.8082 0.6250 0.3061
0.6799 0.4388 0.6390
0.5908 0.1138 0.3587
0.9089 0.3862 0.8587
0.4092 0.8862 0.6413
0.0911 0.6138 0.1413
0.9648 0.8001 0.8065
0.4644 0.3001 0.6935
0.5356 0.6999 0.3065
0.0352 0.1998 0.1935
0.5000 0.0000 0.0000
0.0000 0.5000 0.5000


1.
Entry from the Materials Project database: a relaxed Ca2UO5 crystal (r²SCAN).

Cell: 5.4636 7.8834 11.4040 Å, 72.01 90.00 90.00°
With the nearest neighbours (Å) after each atom.
Fractional positions:
1 O 0.8300 0.4476 0.1729  1 U 2.10, 2 Ca 2.27-2.35
2 O 0.8189 0.2502 0.0038  2 U 2.19-2.22, 2 Ca 2.36-2.40
3 O 0.1915 0.3833 0.5704  1 U 1.97
4 O 0.7564 0.0185 0.3684  1 U 2.02
5 O 0.2564 0.9815 0.1316  1 U 2.02
6 O 0.7810 0.8797 0.1438  1 U 2.01
7 O 0.1700 0.5524 0.8271  1 U 2.10, 2 Ca 2.27-2.35
8 O 0.7190 0.8797 0.6438  1 U 2.01
9 O 0.8085 0.6167 0.4296  1 U 1.97
10 O 0.2190 0.1203 0.8562  1 U 2.01
11 O 0.2810 0.1203 0.3562  1 U 2.01
12 O 0.6811 0.2502 0.5038  2 U 2.19-2.22, 2 Ca 2.36-2.40
13 O 0.7436 0.0185 0.8684  1 U 2.02
14 O 0.3189 0.7498 0.4962  2 U 2.19-2.22, 2 Ca 2.36-2.40
15 O 0.6700 0.4476 0.6729  1 U 2.10, 2 Ca 2.27-2.35
16 O 0.1811 0.7498 0.9962  2 U 2.19-2.22, 2 Ca 2.36-2.40
17 O 0.2436 0.9815 0.6316  1 U 2.02
18 O 0.3085 0.3833 0.0704  1 U 1.97
19 O 0.6915 0.6167 0.9296  1 U 1.97
20 O 0.3300 0.5524 0.3271  1 U 2.10, 2 Ca 2.27-2.35
21 Ca 0.9939 0.6536 0.6374  4 O 2.27-2.36
22 Ca 0.5595 0.1540 0.1823  5 O 2.31-2.45
23 Ca 0.0595 0.8460 0.3177  5 O 2.31-2.45
24 Ca 0.4939 0.3464 0.8626  4 O 2.27-2.36
25 Ca 0.5061 0.6536 0.1374  4 O 2.27-2.36
26 Ca 0.9405 0.1540 0.6823  5 O 2.31-2.45
27 Ca 0.0061 0.3464 0.3626  4 O 2.27-2.36
28 Ca 0.4405 0.8460 0.8177  5 O 2.31-2.45
29 U 0.5000 0.0000 0.5000  6 O 2.01-2.22
30 U 0.0000 0.5000 0.0000  6 O 1.97-2.19
31 U 0.5000 0.5000 0.5000  6 O 1.97-2.19
32 U 0.0000 0.0000 0.0000  6 O 2.01-2.22

Summary:
* crystal system: monoclinic
* size of the total moment: 0.00 μB/f.u.
* E_tot: -18.941 eV/atom

2.
Entry from the Materials Project database: a relaxed CaV2O6 crystal (r²SCAN).

Cell: 3.6433 5.3462 7.1381 Å, 103.19 90.00 109.92°
With the nearest neighbours (Å) after each atom.
Fractional positions:
1 O 0.3567 0.7134 0.8769  1 V 1.69
2 O 0.0832 0.1664 0.7230  1 V 1.64
3 O 0.7502 0.5003 0.6022  3 V 1.90-1.99
4 O 0.6433 0.2866 0.1231  1 V 1.69
5 O 0.9168 0.8336 0.2770  1 V 1.64
6 O 0.2498 0.4997 0.3978  3 V 1.90-1.99
7 V 0.7673 0.5346 0.3305  2 O 1.64-1.69
8 V 0.2327 0.4654 0.6695  2 O 1.64-1.69
9 Ca 0.0000 0.0000 0.0000  6 O 2.33-2.36

Summary:
└──
**The calculated crystals stop here**

"Well, he might've broke the damned wall."Ophis answers while pointing at the screen.

*Wall collapses completely*

"There you go."


While they're fixing some imaginary wall, I went ahead and deposited now healthy Valerie to Gasper making the poor trap to cry.

It also gave me an opportunity to check his gender through seismic sensing and Gasper is a boy in this world.

It's kinda funny that I reached a power level where I can set my sensing sensitivity so I can "see" people naked but I won't tell it to anyone.

With that task completed I took Gabriel to a date, she was at least happy with the effort since it's hard to get a who knows how old lady find something interesting.

I mean she's at least 10.000yo discount the sinful stuff she already tired everything at least once.

____________
Record 1
{
  "formula": "K2NaNiF6",
  "functional": "PBE+U",
  "state": "optimized geometry",
  "space_group": "Fm-3m",
  "magmom_total_mub_per_cell": 1.0,
  "formation_energy_ev_per_atom": -2.617,
  "energy_ev_per_cell": -41.7,
  "lattice_angstrom": [[0.000, 4.172, 4.172], [4.172, 0.000, 4.172], [4.172, 4.172, 0.000]],
  "species": ["K", "K", "Na", "Ni", "F", "F", "F", "F", "F", "F"],
  "frac_coords": [[0.250, 0.250, 0.250], [0.750, 0.750, 0.750], [0.000, 0.000, 0.000], [0.500, 0.500, 0.500], [0.270, 0.270, 0.730], [0.270, 0.730, 0.270], [0.270, 0.730, 0.730], [0.730, 0.270, 0.270], [0.730, 0.270, 0.730], [0.730, 0.730, 0.270]]
}



Record 2
{
  "formula": "KNaWO2F4",
  "functional": "PBE+U",
  "state": "optimized geometry",
  "space_group": "P4/nmm",
  "magmom_total_mub_per_cell": 0.0,
  "formation_energy_ev_per_atom": -2.656,
  "energy_ev_per_cell": -98.4,
  "lattice_angstrom": [[6.170, 0.000, 0.000], [0.000, 6.170, 0.000], [0.000, 0.000, 8.393]],
  "species": ["K", "K", "Na", "Na", "W", "W", "O", "O", "O", "O", "F", "F", "F", "F", "F", "F", "F", "F"],
  "frac_coords": [[0.250, 0.750, 0.000], [0.750, 0.250, 0.000], [0.250, 0.250, 0.274], [0.750, 0.750, 0.726], [0.250, 0.250, 0.759], [0.750, 0.750, 0.241], [0.250, 0.250, 0.544], [0.250, 0.250, 0.982], [0.750, 0.750, 0.018], [0.750, 0.750, 0.456], [0.024, 0.024, 0.768], [0.024, 0.476, 0.768], [0.476, 0.024, 0.768], [0.476, 0.476, 0.768], [0.524, 0.524, 0.232], [0.524, 0.976, 0.232], [0.976, 0.524, 0.232], [0.976, 0.976, 0.232]]
}



Record 3
{
  "formula": "K2NaVF6",
  "functional": "PBE+U",
  "state": "optimized geometry",
  "space_group": "Fm-3m",
  "magmom_total_mub_per_cell": 2.0,
  "formation_energy_ev_per_atom": -3.169,
  "energy_ev_per_cell": -51.3,
  "lattice_angstrom": [[0.000, 4.238, 4.238], [4.238, 0.000, 4.238], [4.238, 4.238, 0.000]],
  "species": ["K", "K", "Na", "V", "F", "F", "F", "F", "F", "F"],
  "frac_coords": [[0.250, 0.250, 0.250], [0.750, 0.750, 0.750], [0.000, 0.000, 0.000], [0.500, 0.500, 0.500], [0.267, 0.267, 0.733], [0.267, 0.733, 0.267], [0.267, 0.733, 0.733], [0.733, 0.267, 0.267], [0.733, 0.267, 0.733], [0.733, 0.733, 0.267]]
}



Record 4
{
  "formula": "KNiF3",
  "functional": "PBE+U",
  "state": "optimized geometry",
  "space_group": "Pm-3m",
  "formation_energy_ev_per_atom": -2.640,
  "energy_ev_per_cell": -21.9,
  "lattice_angstrom": [[4.069, 0.000, 0.000], [0.000, 4.069, 0.000], [0.000, 0.000, 4.069]],
  "species": ["K", "Ni", "F", "F", "F"],
  "frac_coords": [[0.000, 0.000, 0.000], [0.500, 0.500, 0.500], [0.000, 0.500, 0.500], [0.500, 0.000, 0.500], [0.500, 0.500, 0.000]]
}

=====

5
Lattice="-5.457 -3.335 4.298 -2.229 0.345 7.367 2.019 3.638 -6.485" Properties=species:S:1:pos:R:3 comment="CsLiZnS2, relaxed, DFT PBE" formation_energy_ev_per_atom=-1.3304 density_g_cm3=3.75 vol_a3_per_atom=23.8 e_ij_max_c_m2=0.16 space_group="I-4m2 (119)" pbc="T T T"
Li -2.026 1.244 3.357
S -2.627 -1.022 3.987
S -5.059 -1.968 7.678
Zn -3.640 -0.596 1.823
Cs 0.000 0.000 0.000
____________

This turned into me brining her to the Cafe and cooking for her and I played Hallelujah, I guess she liked it.

I never been a music guy but it will come in handy to get the ladies in the last world I am planning to visit for power ups.

By the end of our date I saw her off the heaven and went back to my shop to sleep because it feels awesome to sleep and found her laying on my bed.

"Didn't I just send you off?"

"I want to stay here tonight." She's even wearing a cute pajamas with wings printed on them.

I shrugged and hugged her to sleep while thinking how my life is getting repetitive.

I wasn't prepared to wake couple hours later to see Gabriel giving me blowjob...

"I am staying here tonight!" She says before continuing.

"Got it!"

Her Device ended up being 4 Leaf Light Magic Grimoire it also gives Gabriel control the heavens system to some degree (Normally only Michael has access and change stuff the other Seraph keep it stable). ("Blessing" Manipulation)


In the morning I was feeling fresh and reckless ready to tackle anything author might throw my way. So I went ahead and fused myself using Rebellion destroying the sword in the process.

Mixing Light (Angel) and Darkness (Devil) while using a foundation of a dragon normally create something even more powerful like some OP dude who can take on anyone.

So my body exploded but I was still alive, I started seeing stuff I mean it was some Ant man quantum realm type of stuff.

I felt like I was one with the whole creation and I could command it with a thought.

Then I got hit by the biggest headaches I ever head and found myself naked in a blood covered room. Talk about a power up...